# Source
........
No. 1
C40H41As2ClN3O11Ti as an isolated structure in a non-equilibrium geometry, computed with ωB97M-V/def2-TZVPD.

The geometry in ORCA input format:
```
! RIJCOSX wB97M-V def2-TZVPD def2/J DEFGRID3
* xyz 1 3
Ti -0.626 -0.141 -1.336
C -2.361 -2.791 0.270
C -1.991 -3.084 -1.150
C -2.440 -4.272 -1.737
C -2.103 -4.573 -3.036
C -1.269 -3.705 -3.733
C -0.818 -2.573 -3.087
N -1.214 -2.240 -1.835
C 0.154 -1.661 -3.739
C 0.865 -1.967 -4.892
C 1.830 -1.077 -5.333
C 2.070 0.098 -4.644
C 1.302 0.369 -3.520
N 0.370 -0.495 -3.126
C 1.356 1.629 -2.737
C 2.217 2.664 -3.052
C 2.101 3.857 -2.356
C 1.116 3.985 -1.397
C 0.297 2.902 -1.097
C -0.795 3.005 -0.082
N 0.447 1.737 -1.742
H -1.820 -3.464 0.940
H -3.430 -2.945 0.417
H -2.110 -1.774 0.563
H -3.062 -4.933 -1.152
H -2.468 -5.475 -3.507
H -0.978 -3.923 -4.747
H 0.700 -2.890 -5.424
H 2.405 -1.306 -6.220
H 2.829 0.783 -4.988
H 2.958 2.555 -3.827
H 2.758 4.684 -2.582
H 0.970 4.915 -0.867
H -0.695 3.915 0.505
H -0.777 2.149 0.596
H -1.770 3.027 -0.574
C 2.812 -3.602 -1.882
O 2.146 -3.573 -0.621
C 1.476 -2.459 -0.303
O 1.318 -1.550 -1.178
C 0.917 -2.374 0.969
C 1.480 -2.945 2.154
As 3.382 -2.651 2.234
C 3.786 -2.385 4.134
C 3.293 -0.694 1.792
C 2.290 0.088 1.384
As 0.471 -0.556 1.083
C -0.386 -0.173 2.793
C 2.563 1.534 1.191
O 3.493 1.989 0.576
O 1.670 2.281 1.859
C 2.027 3.663 2.018
C 4.643 -0.077 2.044
O 4.881 0.519 3.058
O 5.587 -0.259 1.117
C 5.209 -0.705 -0.188
C 0.580 -3.376 3.211
O -0.633 -3.349 3.121
O 1.218 -3.847 4.295
C 0.369 -4.318 5.344
H 3.630 -4.308 -1.770
H 3.189 -2.616 -2.149
H 2.131 -3.951 -2.661
H 3.837 -3.367 4.599
H 3.037 -1.778 4.633
H 4.758 -1.899 4.197
H 0.331 -0.322 3.601
H -1.230 -0.848 2.931
H -0.716 0.865 2.794
H 1.148 4.154 2.425
H 2.321 4.099 1.065
H 2.857 3.740 2.719
H 6.087 -0.552 -0.808
H 4.380 -0.110 -0.569
H 4.948 -1.765 -0.176
H 1.033 -4.619 6.147
H -0.224 -5.164 5.001
H -0.300 -3.526 5.676
C -4.880 5.200 -0.874
C -4.731 4.368 0.366
C -4.903 4.912 1.629
C -4.776 4.126 2.765
Cl -5.004 4.842 4.328
C -4.465 2.784 2.663
C -4.277 2.222 1.407
C -4.420 3.009 0.275
O -4.223 2.546 -1.014
C -4.373 1.166 -1.295
C -2.979 0.578 -1.366
O -2.344 0.312 -0.288
O -2.363 0.435 -2.447
H -5.042 6.244 -0.617
H -5.725 4.857 -1.471
H -3.996 5.131 -1.507
H -5.148 5.961 1.733
H -4.362 2.182 3.554
H -3.996 1.183 1.328
H -4.853 1.085 -2.269
H -4.968 0.657 -0.535
*
```

Computed properties:
Orbital gap (spin up / spin down) in Ha: 0.211 / 0.231
Electronic energy in eV: -226450.044

=====

No. 2
C34H52AuN10P as an isolated structure, computed with ωB97M-V/def2-TZVPD.

The geometry in ORCA input format:
```
! RIJCOSX wB97M-V def2-TZVPD def2/J DEFGRID3
* xyz 2 1
Au -1.459 -1.793 0.633
C 3.735 -0.102 1.144
C 4.271 -0.013 -0.260
C 2.139 -0.398 -1.431
C 1.664 -1.519 -0.582
C 1.462 -1.284 0.908
C 2.596 -0.596 1.610
N 1.130 -2.561 -1.068
C 0.957 -2.826 -2.430
C 1.988 -2.800 -3.363
C 1.740 -3.132 -4.687
C 0.460 -3.486 -5.096
C -0.573 -3.527 -4.175
C -0.326 -3.212 -2.844
N -1.303 -3.235 -1.817
N -2.463 -3.488 -2.158
C -3.435 -3.480 -1.098
C -4.641 -4.070 -1.432
C -5.647 -4.129 -0.484
C -5.416 -3.581 0.766
C -4.192 -2.987 1.017
N -3.213 -2.933 0.107
H 4.441 0.285 1.871
H 4.881 0.890 -0.287
H 1.539 -0.170 -2.306
H 1.382 -2.274 1.363
H 2.462 -0.554 2.686
H 2.993 -2.581 -3.031
H 2.554 -3.123 -5.400
H 0.270 -3.743 -6.128
H -1.572 -3.809 -4.474
H -4.759 -4.479 -2.425
H -6.596 -4.593 -0.718
H -6.171 -3.602 1.538
H -3.970 -2.525 1.969
N 0.158 -0.582 1.089
P 0.165 0.850 0.155
N -0.180 2.082 1.310
C -0.145 3.435 0.724
C -0.391 4.483 1.797
C 0.740 4.480 2.841
C 1.412 3.103 2.907
C 0.379 2.013 2.662
N -1.232 1.018 -0.760
C -1.180 0.528 -2.140
C -2.421 0.965 -2.922
C -2.850 2.355 -2.474
C -3.320 2.303 -1.014
C -2.582 1.201 -0.239
N 3.255 0.236 -1.307
C 5.190 -1.186 -0.630
C 5.566 -1.246 -2.113
C 5.849 0.103 -2.784
C 4.590 0.781 -3.334
C 3.613 1.288 -2.282
H -0.900 3.494 -0.059
H 0.823 3.634 0.241
H -1.353 4.271 2.272
H -0.486 5.463 1.330
H 0.332 4.733 3.822
H 1.479 5.249 2.612
H 1.901 2.957 3.872
........
# Brief
Please filter the block further above: keep the lines with the word "structure".
# Done
C40H41As2ClN3O11Ti as an isolated structure in a non-equilibrium geometry, computed with ωB97M-V/def2-TZVPD.
C34H52AuN10P as an isolated structure, computed with ωB97M-V/def2-TZVPD.